== Wanted ==
The reader should duplicate the rows further down from the first line to the one with "-0.350 -1.032" without additions.

== Material ==
+++
No. 1
Density functional theory data (ωB97M-V/def2-TZVPD) for C11H18O4 in the gas phase.

The geometry in XYZ format:
```
33
Properties=species:S:1:pos:R:3:nbo_charge:R:1
C -0.371 2.114 1.321 -0.30
C -0.342 1.825 0.025 -0.12
C 0.507 2.612 -0.908 0.77
O 0.573 2.407 -2.096 -0.59
O 1.202 3.594 -0.320 -0.68
C -1.126 0.747 -0.676 -0.36
C -1.974 -0.149 0.244 -0.39
C -1.148 -1.065 1.158 -0.43
C -1.013 -2.479 0.595 -0.39
C -0.171 -3.403 1.477 -0.40
C 1.297 -2.968 1.610 -0.40
C 1.609 -2.323 2.957 -0.60
C -0.201 -0.114 -1.523 0.83
O -0.531 -0.688 -2.523 -0.59
O 1.027 -0.222 -1.000 -0.70
H 0.223 2.920 1.715 0.22
H -0.977 1.569 2.023 0.20
H 1.730 4.061 -0.986 0.50
H -1.802 1.234 -1.389 0.26
H -2.620 -0.759 -0.389 0.22
H -2.618 0.503 0.836 0.21
H -0.157 -0.635 1.296 0.21
H -1.628 -1.131 2.137 0.20
H -0.573 -2.439 -0.403 0.20
H -2.010 -2.914 0.490 0.20
H -0.623 -3.460 2.469 0.19
H -0.214 -4.404 1.043 0.21
H 1.544 -2.268 0.811 0.20
H 1.946 -3.838 1.491 0.20
H 2.652 -2.017 2.998 0.21
H 0.989 -1.446 3.125 0.20
H 1.429 -3.028 3.766 0.20
H 1.586 -0.763 -1.581 0.50
```

The molecular weight comes out at 214.261 g mol⁻¹. The SMILES is C=C(C(=O)O)[C@H](CCCCCC)C(=O)O. As for the net charge: 0. As for the spin multiplicity: 1. For the HOMO energy, the calculation gives -10.11 eV.

No. 2
Density functional theory data (ωB97M-V/def2-TZVPD) for 2 unconnected molecules or ions with the total composition C6H9N3OS at a distorted geometry.

The geometry in XYZ format:
```
20
Properties=species:S:1:pos:R:3:nbo_charge:R:1
C -1.441 -1.190 1.929 -0.67
C -0.655 -0.917 0.687 0.40
N -0.940 -1.490 -0.435 -0.48
C -0.014 -1.083 -1.412 -0.11
C 1.394 -1.450 -1.139 -0.44
C 1.011 -0.096 -0.718 0.24
N 1.459 1.208 -1.119 -0.82
N 0.515 -0.185 0.569 -0.61
H -1.941 -2.107 1.815 0.25
H -2.292 -0.643 1.957 0.23
H -0.923 -1.278 2.849 0.22
H -0.350 -1.032 -2.347 0.20
H 1.611 -2.029 -0.182 0.22
H 2.018 -1.639 -1.971 0.22
H 0.626 1.773 -1.281 0.37
H 2.128 1.073 -1.792 0.38
H 0.584 0.612 1.193 0.40
O 0.284 3.373 0.855 -0.45
C -0.797 3.471 0.456 0.40
S -2.277 3.628 0.086 0.05
```

The molecular weight comes out at 171.225 g mol⁻¹. The SMILES is CC1=N[C@@H]2C[C@]2(N)N1.O=C=S. As for the net charge: 0. As for the spin multiplicity: 1. For the HOMO energy, the calculation gives -8.29 eV.

No. 3
Density functional theory data (ωB97M-V/def2-TZVPD) for a molecular structure, C29H43As2GdN3O4SSi at a distorted geometry.

The geometry in XYZ format:
```
84
Properties=species:S:1:pos:R:3:lowdin_spin:R:1
Gd 0.715 1.038 1.458 7.22
C 3.339 3.641 3.591 0.00
C 2.801 2.415 4.221 0.00
C 3.266 2.109 5.478 0.00
C 2.740 0.963 6.109 0.00
C 1.845 0.191 5.425 0.00
C 1.379 0.549 4.117 0.00
N 1.898 1.679 3.553 -0.02
N 0.533 -0.162 3.366 -0.10
Si -0.091 -1.764 3.860 -0.01
C 1.329 -2.983 4.057 0.00
C -1.117 -2.334 2.410 0.00
C -1.246 -1.474 5.321 0.00
H 3.003 4.602 3.957 0.00
H 3.078 3.668 2.552 0.00
H 4.432 3.597 3.605 0.00
H 4.114 2.653 5.975 0.00
H 3.052 0.711 7.091 0.00
H 1.429 -0.731 5.904 0.00
H 1.845 -3.115 3.099 0.00
H 0.995 -3.954 4.399 0.00
H 2.158 -2.768 4.695 0.00
H -0.494 -2.275 1.482 0.00
H -2.059 -1.767 2.348 0.00
H -1.314 -3.398 2.623 0.00
H -0.697 -0.992 6.206 0.00
H -1.740 -2.289 5.858 0.00
H -2.058 -0.772 5.028 0.00
C 3.256 3.167 -2.272 0.00
As 1.576 2.345 -1.494 0.00
C 0.223 3.621 -2.223 0.00
C 1.589 0.721 -2.637 0.00
C 1.426 0.966 -3.995 0.00
C 1.725 -0.008 -4.911 0.00
C 2.150 -1.261 -4.506 0.00
C 2.323 -1.515 -3.161 0.00
C 1.950 -0.601 -2.206 0.00
As 2.224 -1.006 -0.380 -0.02
C 4.120 -0.684 -0.344 0.00
C 1.980 -2.929 -0.099 -0.01
H 3.159 2.820 -3.279 0.00
H 4.143 2.742 -1.741 0.00
H 3.230 4.240 -2.122 0.00
H 0.687 4.141 -3.037 0.00
H 0.063 4.335 -1.427 0.00
H -0.713 3.061 -2.434 0.00
H 1.249 1.933 -4.452 0.00
H 1.627 0.219 -5.952 0.00
H 2.496 -2.042 -5.169 0.00
H 2.761 -2.472 -2.929 0.00
H 4.544 -1.283 -1.092 0.00
H 4.667 -0.913 0.613 0.00
H 4.271 0.368 -0.683 0.00
H 2.576 -3.421 -0.858 0.00
H 0.923 -3.156 -0.295 0.00
H 2.330 -3.306 0.886 0.00
C -2.994 -3.267 -5.367 0.00
+++

== Result ==
No. 1
Density functional theory data (ωB97M-V/def2-TZVPD) for C11H18O4 in the gas phase.

The geometry in XYZ format:
```
33
Properties=species:S:1:pos:R:3:nbo_charge:R:1
C -0.371 2.114 1.321 -0.30
C -0.342 1.825 0.025 -0.12
C 0.507 2.612 -0.908 0.77
O 0.573 2.407 -2.096 -0.59
O 1.202 3.594 -0.320 -0.68
C -1.126 0.747 -0.676 -0.36
C -1.974 -0.149 0.244 -0.39
C -1.148 -1.065 1.158 -0.43
C -1.013 -2.479 0.595 -0.39
C -0.171 -3.403 1.477 -0.40
C 1.297 -2.968 1.610 -0.40
C 1.609 -2.323 2.957 -0.60
C -0.201 -0.114 -1.523 0.83
O -0.531 -0.688 -2.523 -0.59
O 1.027 -0.222 -1.000 -0.70
H 0.223 2.920 1.715 0.22
H -0.977 1.569 2.023 0.20
H 1.730 4.061 -0.986 0.50
H -1.802 1.234 -1.389 0.26
H -2.620 -0.759 -0.389 0.22
H -2.618 0.503 0.836 0.21
H -0.157 -0.635 1.296 0.21
H -1.628 -1.131 2.137 0.20
H -0.573 -2.439 -0.403 0.20
H -2.010 -2.914 0.490 0.20
H -0.623 -3.460 2.469 0.19
H -0.214 -4.404 1.043 0.21
H 1.544 -2.268 0.811 0.20
H 1.946 -3.838 1.491 0.20
H 2.652 -2.017 2.998 0.21
H 0.989 -1.446 3.125 0.20
H 1.429 -3.028 3.766 0.20
H 1.586 -0.763 -1.581 0.50
```

The molecular weight comes out at 214.261 g mol⁻¹. The SMILES is C=C(C(=O)O)[C@H](CCCCCC)C(=O)O. As for the net charge: 0. As for the spin multiplicity: 1. For the HOMO energy, the calculation gives -10.11 eV.

No. 2
Density functional theory data (ωB97M-V/def2-TZVPD) for 2 unconnected molecules or ions with the total composition C6H9N3OS at a distorted geometry.

The geometry in XYZ format:
```
20
Properties=species:S:1:pos:R:3:nbo_charge:R:1
C -1.441 -1.190 1.929 -0.67
C -0.655 -0.917 0.687 0.40
N -0.940 -1.490 -0.435 -0.48
C -0.014 -1.083 -1.412 -0.11
C 1.394 -1.450 -1.139 -0.44
C 1.011 -0.096 -0.718 0.24
N 1.459 1.208 -1.119 -0.82
N 0.515 -0.185 0.569 -0.61
H -1.941 -2.107 1.815 0.25
H -2.292 -0.643 1.957 0.23
H -0.923 -1.278 2.849 0.22
H -0.350 -1.032 -2.347 0.20